The United States is one of the wealthiest countries in the world so you would think its citizens would have a great life expectancy rate. If we told you that they don’t, you’d probably say it is because of the large number of Americans who are obese and live sedentary lifestyles. And while those are very likely contributing factors to the shorter-than-expected lifespans, there appear to be other important factors in play as well. In fact, new research suggests that the three major reasons for earlier death among Americans are all forms of preventable injuries–not obesity.
The study, which took place at the Centers for Disease Control and Prevention in Atlanta, Georgia, found that deaths due to car accidents, drug overdoses (including prescription drugs), and gun violence are significant contributors to the gap in life expectancy rates between the U.S. and similar developed nations.1 Fenelon, Andrew; Chen, Li-Hui; and Baker, Susan P. “Major Causes of Injury Death and the Life Expectancy Gap Between the United States and Other High-Income Countries.” Journal of the American Medical Association. 9 February 2016. Accessed 14 February 2016. The findings were based on the scientists’ evaluation of 2012 data collected by the United States government and the World Health Organization.
When the U.S. information was analyzed, it showed that drug poisonings and overdoses, gun injuries, and car crashes are the top three causes of death among Americans younger than 44. And this tremendously influences life expectancy rates because in most cases it shaves several decades off of these victims’ lives. The death rate for these three categories of injury in the U.S. far surpassed those of any of the comparable developed nations also considered in the investigation. The countries included in addition to America were Austria, Denmark, Finland, Germany, Italy, Japan, the Netherlands, Norway, Portugal, Spain, Sweden, and the United Kingdom.
For men, the average life expectancy rate in these 12 nations is 78.6 years old. In contrast, in the U.S., the rate is 76.4 years old, and deaths from guns, drugs, and cars were responsible for nearly half of the more than two-year difference. Perhaps surprisingly, women were shown to lose the same 2.2 years as men in this comparison. The average life expectancy among women in the other countries listed was 83.4 years old, while for U.S. women it was 81.2 years old. But deaths due to injury were only responsible for approximately 20 percent of the difference here.
Unrelated to this article: data records:
Compound: TePPt
Source: Alexandria
Functional: PBE
Structure: optimized geometry

Structure (POSCAR):
```
TePPt
1.0
6.2503 0.0000 0.0000
0.0000 6.2503 0.0000
0.0000 0.0000 6.2503
P Te Pt
4 4 4
direct
0.3849 0.3849 0.3849
0.1151 0.6151 0.8849
0.6151 0.8849 0.1151
0.8849 0.1151 0.6151
0.6234 0.6234 0.6234
0.8766 0.3766 0.1234
0.3766 0.1234 0.8766
0.1234 0.8766 0.3766
0.9725 0.9725 0.9725
0.5275 0.0275 0.4725
0.0275 0.4725 0.5275
0.4725 0.5275 0.0275
```

Values from the calculation:
The space-group type is No. 198. As for the formation energy without anion corrections: -32 kJ per mole of atoms. As for the distance to the lowest polymorph of the same formula: 0.0 meV/atom. As for the density of states at the Fermi level: 1.798 states/eV/f.u. Its spin magnetization is 0.00 μB per cell.
Some of the categories of injury affect one gender more than the other. It’s hardly shocking that gun deaths are a much bigger factor among men than women. But the difference between American men and their counterparts in the other countries is significant. The rate of gun deaths in the U.S. is a whopping 18.4 per 100,000 men. In contrast, this rate is merely one per 100,000 men in the countries of comparison. For the women, casualties caused by drugs are the main contributor to their lower life span. In the U.S., the drug-related death rate is 10 per 100,000 women, while in the countries of comparison it is less than two per 100,000 women.
The data gathered took into account accidental and intentional deaths as well as suicides in all three categories of injuries. The deaths due to drugs included both those resulting from prescription medications and illegal forms of drugs.
In an ideal world, we would have control over everything in our lives and the lives of our loved ones. But that is not reality. Still, we should strive to do the best we can and help those around us to stay safe. It’s important to always remember that driving is not something to be taken lightly and you should never get behind the wheel if you are under the influence of any kind of substance. It is equally essential for gun owners to keep their weapons unloaded and locked up, with the ammunition in a separate place to guard against accidents.
And if someone you care for has developed a drug problem, try to provide them with every bit of support possible to help them kick the habit before it’s too late. Don’t be complacent if it is a pharmaceutical medication prescribed by a doctor, either–a 2010 study at West Virginia University School of Medicine in Morgantown found that prescription painkillers are the leading cause of drug overdose deaths.2 Coben, Jeffrey H.; et al. “Hospitalizations for Poisoning by Prescription Opioids, Sedatives, and Tranquilizers.” American Journal of Preventive Medicine. May 2010. Accessed 15 February 2016. Remember: opioid painkillers are highly addictive–and very deadly. If we make a little more effort in these areas, it may make a major difference in changing these statistics over time. And if you are currently on track to be one of those statistics, it could make a major difference in your life.
↑1 | Fenelon, Andrew; Chen, Li-Hui; and Baker, Susan P. “Major Causes of Injury Death and the Life Expectancy Gap Between the United States and Other High-Income Countries.” Journal of the American Medical Association. 9 February 2016. Accessed 14 February 2016. |
↑2 | Coben, Jeffrey H.; et al. “Hospitalizations for Poisoning by Prescription Opioids, Sedatives, and Tranquilizers.” American Journal of Preventive Medicine. May 2010. Accessed 15 February 2016. |